The political cartoon by Nick Anderson depicts Ralph Nader standing at a podium addressing American society’s “throw away mentality.” Meanwhile a citizen in the background is casting her vote for the green party behind him. Ironically, the ballot drops into a waste basket, thus a wasted vote. We now realize that Nader is not talking about the environment, but addressing the issue of how the general public views votes for 3 rd party candidates. This cartoonist feels that we should reform our views on 3 rd party candidates and vote for who we think would make the best president, despite there chance of winning or not. In recent history no 3 rd party candidates have come anywhere close to getting a substantial number of votes in the presidential elections. The last time a minor party was able to win a presidential election, was with Abraham Lincoln, in 1860.
Between two parts of the entry: data records =
-- begin --
Record 1
Molecular formula: CH7N3
Method: DFT, wB97M-V/def2-TZVPD

The total energy is -5616.2269 eV. The LUMO energy (alpha / beta) comes out at -0.40 / -0.44 eV. The calculation puts the HOMO energy (alpha / beta) at -8.81 / -8.79 eV.

Structure (XYZ):
```
11
Properties=species:S:1:pos:R:3:forces:R:3
C 0.559 -0.683 -0.031 0.008 -0.088 0.183
N -0.455 -0.829 0.865 0.053 0.361 -0.431
N -1.507 0.607 -0.349 0.213 -0.163 0.231
N 1.677 0.182 0.281 -0.091 -0.036 0.101
H -0.384 -0.153 1.627 0.032 0.004 -0.060
H -2.178 1.396 -0.362 0.043 -0.105 0.003
H -2.074 -0.183 -0.667 0.083 0.006 0.007
H 1.351 1.125 0.469 -0.015 -0.050 -0.053
H 2.330 0.228 -0.493 -0.087 -0.011 0.037
H 0.857 -1.619 -0.507 -0.042 0.067 0.010
H -0.176 -0.070 -0.832 -0.198 0.015 -0.028
```
Forces are in eV/Å.



Record 2
Molecular formula: C31H21I2N6O6PTa
Method: DFT, wB97M-V/def2-TZVPD

The total energy is -80752.3052 eV. The LUMO energy comes out at -3.64 eV. The calculation puts the HOMO energy at -11.09 eV. Its charge is +1.

Structure (XYZ):
```
68
Properties=species:S:1:pos:R:3:forces:R:3
Ta 1.349 0.149 0.717 0.152 -0.308 -0.377
I 4.124 1.127 -0.104 -0.019 0.035 0.094
C 3.354 1.056 -2.031 0.048 0.014 -0.101
C 4.189 1.160 -3.159 0.060 0.008 0.024
C 3.648 1.069 -4.408 -0.037 0.001 0.006
I 4.933 1.245 -6.039 0.002 -0.001 -0.018
C 2.251 0.854 -4.581 0.002 0.000 0.012
C 1.615 0.729 -5.838 0.019 0.001 -0.025
C 0.272 0.509 -5.896 -0.036 -0.004 -0.013
C -0.456 0.410 -4.693 0.031 0.005 0.014
N 0.083 0.525 -3.506 0.005 -0.007 -0.017
C 1.421 0.749 -3.440 -0.030 -0.002 -0.049
C 2.008 0.868 -2.152 -0.116 0.035 0.138
O 1.225 0.784 -1.053 0.011 0.081 -0.052
H 5.251 1.312 -3.031 -0.006 -0.003 0.004
H 2.203 0.807 -6.743 -0.001 -0.001 0.003
H -0.239 0.407 -6.843 0.007 0.000 0.002
H -1.525 0.230 -4.725 -0.002 0.001 0.013
O 0.877 3.063 3.570 -0.060 0.049 0.012
C 0.520 2.215 2.824 0.111 -0.067 -0.084
O 1.328 1.733 1.826 -0.048 0.102 0.085
C -0.831 1.517 2.842 0.000 -0.027 0.038
P -1.143 0.988 1.134 0.083 -0.015 0.027
C -2.679 0.057 1.022 0.017 -0.057 -0.041
C -3.107 -0.345 -0.242 0.017 -0.053 -0.006
C -4.293 -1.050 -0.378 0.009 0.006 0.005
C -5.055 -1.347 0.743 -0.002 0.006 0.006
C -4.629 -0.946 2.002 0.017 0.006 -0.008
C -3.439 -0.251 2.147 -0.032 0.032 -0.005
C -1.387 2.515 0.193 -0.023 0.061 0.032
C -1.322 2.480 -1.199 -0.034 0.032 -0.003
C -1.552 3.634 -1.931 0.007 -0.032 0.007
C -1.837 4.828 -1.284 -0.001 0.003 0.031
C -1.897 4.868 0.101 0.004 0.008 -0.029
C -1.677 3.716 0.841 0.010 0.008 -0.003
H -1.591 2.158 3.282 0.009 0.009 0.013
H -0.740 0.611 3.448 -0.013 -0.010 -0.002
H -2.521 -0.111 -1.122 0.007 -0.006 -0.001
H -4.623 -1.361 -1.360 -0.002 0.001 0.004
H -5.985 -1.890 0.636 0.004 0.001 0.002
H -5.224 -1.175 2.876 0.001 -0.003 -0.003
H -3.110 0.040 3.135 0.015 0.005 -0.002
H -1.077 1.567 -1.724 0.031 -0.012 -0.005
H -1.500 3.597 -3.012 0.003 0.003 0.002
H -2.009 5.729 -1.858 0.001 -0.003 0.001
H -2.114 5.796 0.612 -0.003 -0.002 -0.003
H -1.735 3.777 1.920 0.009 -0.004 -0.008
-- stop --
He was not truly campaigning under a minor party either; the Republican Party which he ran for had recently gained control of the congress and was becoming well established in the federal government. This is a key issue that 3 rd parties must understand before they consider putting up a candidate for president. The reason why 3 rd party candidates don’t win in presidential elections is not because they are unqualified; it’s because the electoral system that we have in place creates enormous obstacles for them. One obstacle is that 3 rd party candidates get unfair representation in political debates on television and another is that 3 rd party candidates have trouble mobilizing their voters to get to the polls. Despite what’s against 3 rd parties they still do manage to make some important contributions in our political system. One contribution is there ability to shift other party’s views along the political spectrum slightly.
(Calculated molecules, as found in the file)
(1)
Below is a cluster of 2 separate species, CH4O3 in total in a non-equilibrium geometry, with properties calculated with the ωB97M-V functional and the def2-TZVPD basis.

Computed properties:
- charge = +1
- HOMO-LUMO gap (alpha / beta) (eV) = 7.1 / 2.3
- F_max (eV/Å) = 5.1
- ΔE to the lowest compared entry with this formula, charge and spin (kcal per mole) = 28.96
- spin multiplicity = 2
- HOMO (alpha / beta) (eV) = -14.010 / -13.985

The geometry in XYZ format:
```
8
CH4O3 the ωB97M-V functional and the def2-TZVPD basis
O 2.2014 -0.9530 0.6034
C 1.7961 -1.2472 -0.4618
O 0.8877 -0.3058 -0.9778
H 2.1179 -1.9422 -1.2413
H 0.2776 -0.1122 -0.2875
H -4.1757 2.7774 0.5172
H -4.1660 1.2912 1.1699
O -3.6929 1.9425 0.7009
```

***

(2)
Below is a cluster of 2 separate species, CH4O3S in total in a non-equilibrium geometry, with properties calculated with the ωB97M-V functional and the def2-TZVPD basis.

Computed properties:
- charge = 0
- HOMO-LUMO gap (eV) = 10.0
- F_max (eV/Å) = 6.8
- ΔE to the lowest compared entry with this formula, charge and spin (kcal per mole) = 74.25
- HOMO (eV) = -9.640

The geometry in XYZ format:
```
9
CH4O3S the ωB97M-V functional and the def2-TZVPD basis
C 0.4780 0.2023 0.2584
O 0.6050 -0.9223 -0.5156
O 0.9548 1.3531 -0.3327
O -0.7284 0.4344 0.7327
S -2.0609 0.1045 -0.1467
H 1.2200 -0.2039 1.4852
H -0.3614 -1.0633 -0.8082
H 1.8688 1.4299 -0.6155
H -1.9758 -1.3346 -0.0577
```

***

(3)
Below is the molecule CH4O3S in a non-equilibrium geometry, with properties calculated with the ωB97M-V functional and the def2-TZVPD basis.

Computed properties:
- charge = 0
- HOMO-LUMO gap (eV) = 10.2
- F_max (eV/Å) = 5.4
- ΔE to the lowest compared entry with this formula, charge and spin (kcal per mole) = 110.99
- HOMO (eV) = -9.989

The geometry in XYZ format:
```
9
CH4O3S the ωB97M-V functional and the def2-TZVPD basis
C 0.4688 -0.2659 0.1157
O -1.2869 1.6188 0.6146
O -2.4206 0.1415 -1.0961
O -2.0489 -0.7405 -0.0071
S -1.0484 0.0581 1.0347
H 0.6454 -1.3433 0.3277
H 1.1593 0.3954 0.5349
H 0.0495 0.0110 -0.8930
H -2.5965 1.0270 -0.5515
```

***

(4)
Below is a cluster of 2 separate species, CH4O3S in total in a non-equilibrium geometry, with properties calculated with the ωB97M-V functional and the def2-TZVPD basis.

Computed properties:
- charge = 0
- HOMO-LUMO gap (alpha / beta) (eV) = 8.5 / 7.9
- F_max (eV/Å) = 3.7
- ΔE to the lowest compared entry with this formula, charge and spin (kcal per mole) = 133.82
- HOMO (alpha / beta) (eV) = -9.791 / -9.922

The geometry in XYZ format:
```
9
CH4O3S the ωB97M-V functional and the def2-TZVPD basis
C -1.5105 -0.1923 0.2226
O 0.7293 -1.7519 -0.4335
O 2.4632 0.7355 0.0636
O 0.6266 0.7360 -0.1652
S 0.4005 -0.6606 0.4381
H -1.9020 -1.0144 -0.2549
H -1.6680 0.7724 -0.4156
H -2.0985 0.0472 1.1095
H 2.9594 1.3282 -0.5647
```

***

(5)
The Essay on Negative Campaigning During Political Elections
Negative Campaigning During Political Elections Like most good ideas Television coverage of elections started out innocent and innovative. But in the years since its creation television has slowly eroded the foundation of our unique election process. It has turned a sacred tradition and reduced it to a pathetic sideshow. Inspiring election speeches have been whittled away to sound bites. The dream ...
Next to the piece, the page also holds records of molecules.
'''
21
Properties=species:S:1:pos:R:3:nbo_charge:R:1 method="wB97M-V/def2-TZVPD" energy_ha=-896.4069 de_lowest_kcal_mol=114.2
C 2.88395 2.16824 0.63377 -0.308
C 0.67711 1.01555 0.99542 0.367
C 0.05156 0.16755 1.79635 -0.421
C -1.12871 -0.75563 1.48492 0.442
C 0.00050 -0.37109 -1.06805 -0.356
C 0.12171 -0.57198 -2.60494 -0.055
C 0.61418 0.91259 -0.44333 -0.487
H 3.13623 1.10453 0.06932 0.227
H 3.85039 2.51416 1.18870 0.223
H 2.57708 3.18200 0.17145 0.226
H 0.48221 0.00225 2.82028 0.248
H 0.50795 -1.21021 -0.51761 0.228
H 1.24138 -0.65017 -3.02055 0.194
H -0.36513 0.46448 -3.18835 0.146
H -1.58655 -1.47278 -2.85820 0.464
H 1.74001 0.87232 -0.95670 0.235
H 0.29718 1.95984 -1.03284 0.239
O 1.48647 1.88538 1.51802 -0.498
O -1.62928 -1.58235 2.35357 -0.545
O -0.38259 -1.79055 -2.88104 -0.668
S -1.68745 -0.64110 -0.33530 0.100

14
Properties=species:S:1:pos:R:3:nbo_charge:R:1 method="wB97M-V/def2-TZVPD" energy_ha=-270.5135 de_lowest_kcal_mol=27.9 smiles="C[C@H]1C[C@H]1C=O"
C 1.23039 -1.09485 0.24486 -0.618
C -0.17829 -0.81349 -0.25758 -0.200
C -1.21143 -0.16897 0.59854 -0.399
C -0.68567 0.57860 -0.60853 -0.343
C 0.14780 1.77456 -0.34772 0.437
O 0.18656 2.74852 -1.06323 -0.523
H 1.20318 -1.59083 1.22134 0.214
H 1.75330 -1.75727 -0.45165 0.221
H 1.83829 -0.19135 0.34719 0.211
H -0.56468 -1.57491 -0.93192 0.222
H -0.89995 0.19920 1.57477 0.214
H -2.23512 -0.52797 0.56140 0.227
H -1.32477 0.67719 -1.48157 0.236
H 0.74040 1.74156 0.59411 0.099

32
Properties=species:S:1:pos:R:3:nbo_charge:R:1 method="wB97M-V/def2-TZVPD" energy_ha=-762.4481 de_lowest_kcal_mol=63.7 smiles="CCNC(N)=O.O.O.O.O.O.O"
C 1.66377 1.99251 -0.50346 -0.253
N 1.21451 1.04267 0.54487 -0.644
C 0.33190 0.06299 0.20098 0.803
N 0.79812 -0.81399 -0.74067 -0.883
O -0.71086 -0.24556 0.82834 -0.739
C 1.44199 3.40671 -0.08657 -0.649
H 1.15324 1.75815 -1.43835 0.219
H 2.72360 1.90222 -0.99429 0.195
H 0.90699 1.52547 1.43091 0.419
H 0.38585 -1.79195 -0.61919 0.459
H 1.74045 -0.57727 -1.18941 0.414
H 2.16657 3.86252 0.71440 0.224
H 0.37670 3.76045 0.23644 0.233
H 1.57768 4.02011 -1.04735 0.231
H -0.26825 -3.84877 0.43361 0.485
H 1.18096 -4.14164 0.34327 0.445
O 0.38593 -4.47397 -0.02747 -0.973
H 0.49675 -0.55323 2.78165 0.488
H 1.98130 -0.95599 2.35545 0.470
O 1.44782 -0.63175 3.04738 -0.957
H -1.37736 1.48297 -1.73071 0.481
H -0.32535 0.37807 -2.36526 0.490
O -0.94354 1.21645 -2.54936 -0.973
H -2.29462 -2.51185 -2.40921 0.473
H -1.79960 -1.26139 -3.02042 0.475
O -1.58198 -1.91017 -2.28954 -0.946
H -2.11802 1.01991 1.68210 0.506
H -3.24943 1.85637 2.63311 0.473
O -2.57819 1.98440 1.89227 -0.989
H -1.34589 -1.80895 0.29300 0.510
H -1.99263 -3.04064 1.13466 0.496
O -1.38840 -2.70485 0.45881 -0.980

=====

No. 1
This record from the Open Molecules 2025 dataset describes a molecular structure, C22H38BeO3P2S. The level of theory is wB97M-V/def2-TZVPD.

Output
HOMO level (spin up / spin down)   -6.1 / -5.5 eV
Maximum force   3.6 eV/A
'''
Take the case of the 2000 and 2004 elections where Ralph Nader was running as the extreme liberal 3 rd party candidate in the election. Green party supporters would argue that by Nader running in the election, it forced the democrats to become slightly more liberal in there views to regain some of the would-be Nader voters.